(File)
........
{"formula": "C23H38Br3N3O2S", "method": "the ωB97M-V functional and the def2-TZVPD basis", "elements": ["C", "C", "C", "C", "C", "C", "C", "C", "C", "C", "C", "C", "C", "C", "O", "C", "C", "C", "N", "N", "N", "C", "C", "C", "C", "S", "C", "O", "H", "H", "H", "H", "H", "H", "H", "H", "H", "H", "H", "H", "H", "H", "H", "H", "H", "H", "H", "H", "H", "H", "H", "H", "H", "H", "H", "H", "H", "H", "H", "H", "H", "H", "H", "H", "H", "C", "Br", "Br", "Br", "H"], "positions_angstrom": [[0.258173, 2.140377, -1.680761], [-0.603490, 2.508356, -2.866645], [0.051431, 2.448470, -4.221818], [-1.922335, 2.840353, -2.667093], [-2.873787, 1.846329, -2.032713], [-4.131684, 2.470170, -1.383463], [-4.244441, 2.309819, 0.144181], [-5.702955, 2.642605, 0.542815], [-3.932499, 0.886667, 0.641149], [-2.899030, 0.824457, 1.796626], [-1.672668, 0.001612, 1.512298], [-1.695504, -1.290124, 1.137880], [-2.950069, -2.099912, 0.998796], [-0.425737, -2.019826, 0.837600], [-0.485026, -3.158424, 0.413367], [0.887724, -1.370142, 1.088767], [2.102287, -2.219695, 0.856311], [2.826250, -1.922131, -0.493620], [3.008219, -3.217324, -1.164356], [2.012307, -1.110595, -1.392468], [4.161419, -1.309511, -0.226026], [0.913295, -0.092127, 1.499925], [2.176348, 0.649323, 1.820301], [2.521613, 0.541851, 3.326012], [2.715151, 1.890106, 4.026514], [3.912465, 3.005570, 3.260866], [-0.354367, 0.674622, 1.666430], [-0.287120, 1.859640, 1.953234], [0.450827, 3.011138, -1.057554], [1.211560, 1.697486, -1.977706], [-0.238597, 1.390046, -1.058786], [0.552964, 1.480072, -4.268386], [0.809372, 3.227738, -4.379022], [-0.673679, 2.511283, -5.027922], [-2.321487, 3.808133, -2.969350], [-3.193302, 1.217757, -2.867861], [-2.309348, 1.211100, -1.348656], [-4.109701, 3.538693, -1.606002], [-5.021820, 2.041704, -1.847044], [-3.623946, 3.064704, 0.631445], [-5.922275, 3.706814, 0.468586], [-5.947910, 2.242815, 1.526071], [-6.359188, 2.122581, -0.160691], [-3.594513, 0.228536, -0.155909], [-4.859138, 0.439534, 1.006538], [-2.543724, 1.840909, 1.964577], [-3.349710, 0.527453, 2.746792], [-3.365256, -1.971131, -0.002820], [-3.700170, -1.719685, 1.692988], [-2.768261, -3.155617, 1.165956], [1.797829, -3.261359, 0.808233], [2.828305, -2.034594, 1.644925], [3.506871, -3.819014, -0.516838], [3.597245, -3.085792, -1.979311], [2.295464, -0.137298, -1.346197], [2.203949, -1.395668, -2.346844], [4.295941, -0.473991, -0.783099], [4.885373, -1.952239, -0.518812], [2.027842, 1.697931, 1.576127], [3.015637, 0.248116, 1.259480], [3.449643, -0.019591, 3.455632], [1.751749, -0.015576, 3.864918], [3.106543, 1.732288, 5.032002], [1.744758, 2.370270, 4.157154], [3.282925, 3.327322, 2.125043], [4.868547, -7.085690, -1.642149], [4.247709, -8.774542, -2.315043], [4.590730, -5.671871, -2.919414], [4.080402, -6.668738, 0.063816], [5.933871, -7.172543, -1.488979]], "forces_ev_per_a": [[-0.33, -1.51, -0.18], [-0.60, 0.38, 0.27], [0.33, 1.53, 0.27], [0.84, -0.55, 0.28], [0.08, 1.20, 0.82], [0.72, -0.24, 0.24], [-1.01, 0.01, -0.11], [0.20, -0.29, -0.42], [0.10, -0.26, 0.52], [0.22, 0.61, -0.23], [-0.08, -0.48, -0.09], [0.04, 0.10, 0.11], [-0.14, 0.51, 0.03], [-0.12, -0.22, -0.12], [0.08, 0.16, 0.09], [-0.14, 0.24, 0.12], [0.14, 0.55, -0.32], [0.42, -0.58, -0.62], [-0.23, 0.41, 0.45], [0.26, 0.17, -0.06], [-0.20, 0.27, -0.01], [0.14, -0.43, -0.25], [-0.10, -0.16, 0.43], [0.45, 0.18, 0.18], [-0.59, -0.22, -0.06], [0.36, 0.12, 0.13], [0.19, 0.36, 0.20], [-0.12, -0.20, -0.02], [-0.01, 0.10, -0.08], [0.02, 0.08, -0.07], [0.12, 0.09, 0.19], [-0.01, -0.02, -0.07], [0.14, -0.17, -0.09], [-0.05, 0.00, 0.00], [-0.40, -0.62, -1.54], [0.06, -0.10, 0.04], [-0.17, -0.16, 0.00], [-0.30, 0.02, -0.08], [-0.05, 0.04, 0.02], [0.38, -0.27, 0.00], [-0.02, 0.04, 0.15], [0.05, 0.36, 0.19], [-0.12, 0.04, 0.05], [-0.02, 0.15, -0.16], [-0.05, -0.05, -0.13], [0.04, -0.03, 0.13], [-0.07, -0.24, -0.08], [0.03, -0.19, -0.05], [-0.04, -0.13, 0.03], [0.05, -0.03, 0.00], [-0.06, -0.02, 0.25], [-0.03, -0.24, 0.11], [-0.04, -0.26, -0.19], [0.09, -0.06, 0.01], [-0.23, 0.06, 0.23], [-0.12, -0.12, 0.00], [-0.04, 0.04, 0.02], [0.05, -0.05, 0.12], [0.03, 0.00, -0.18], [-0.04, 0.10, -0.18], [-0.03, -0.11, -0.15], [-0.08, 0.05, -0.01], [0.08, -0.01, -0.01], [0.08, 0.23, -0.16], [-0.20, -0.09, 0.06], [0.00, 0.00, 0.01], [-0.01, 0.03, 0.01], [0.05, -0.12, -0.05], [0.00, -0.01, -0.02], [0.01, 0.01, 0.00]], "nbo_charge": [-0.6362, 0.0300, -0.6439, -0.2043, -0.4411, -0.3927, -0.2030, -0.5972, -0.4067, -0.4513, -0.0819, -0.0137, -0.6547, 0.5059, -0.5137, -0.0073, -0.4818, 0.4198, -0.8314, -0.8392, -0.8836, -0.0461, -0.4780, -0.3969, -0.5163, -0.0435, 0.5831, -0.5541, 0.2240, 0.1876, 0.2178, 0.2196, 0.2085, 0.2191, 0.1940, 0.2123, 0.2098, 0.2041, 0.1952, 0.2005, 0.2082, 0.2029, 0.1965, 0.2088, 0.2064, 0.2434, 0.2228, 0.2326, 0.2175, 0.2475, 0.2551, 0.2338, 0.3608, 0.3474, 0.3521, 0.3652, 0.3581, 0.3645, 0.2335, 0.2419, 0.2099, 0.2078, 0.2252, 0.2215, 0.1176, -0.4999, 0.1018, 0.0864, 0.0926, 0.2255], "max_force_ha_per_bohr": 0.033, "charge": 0, "multiplicity": 1, "homo_ev": -7.34}
........

(Activity)
Please work out how many lines earlier on have the word "method" in them; a number is enough.

(Result)
1